I have admitted to being wrong on numerous occasions. It is not a skill that I possess in any quantity but it does occur. If you can cite an instance of me being wrong please quote the specific passage and explain precisely, with detailed descriptions of the semantics, precisely how my statement was incorrect. My standard of explanation seems much higher than yours, though, so you will likely need a much deeper chain of reasoning and more consistent data than you are accustomed to. But if you put in the effort then I am glad to admit that I am wrong, because you will have actually demonstrated such rather than attempting to drop a witty one-liner and then claim that I am wrong by default.
Now, you, however, very clearly made a misleading remark. The statement that was effectively made was "Aethergems get affected" and the statement that you extrapolated from this was "increase the capacity of Aethergems". Do you admit that the first statement could mean anything, and in context it supported the latter less than it supported "aethergems become cheaper" as that would have been applying the same effect to both items as a direct result of their interaction, rather than trying to get a free revision by actually modifying the things in a way that makes it very clear that they are two separate units which is the polar opposite- ugh, can't go five steps without stumbling over another wrong, if you can just pull out the magem and plug in a different one then there is no reason to keep the magem as a part of the design. If we can do this much...Order: Replace the magems of the aethergems with circuits.
(Next to the piece, the page also holds molecular data)
********
No. 1
Molecular formula: C20H15AsN3O2RuS
Method: DFT, ωB97M-V/def2-TZVPD

```
43
Properties=species:S:1:pos:R:3:lowdin_spin:R:1
Ru -2.000 -0.212 0.823 2.620
C 4.817 0.289 -1.511 0.002
C 4.632 -0.609 -0.468 0.000
C 3.509 -0.513 0.338 0.002
C 2.553 0.472 0.094 0.003
C 2.749 1.380 -0.942 0.003
C 3.881 1.285 -1.742 0.000
As 1.089 0.619 1.363 0.020
C 0.272 -1.175 1.051 -0.003
C 0.528 -1.952 -0.088 0.045
C 0.012 -3.235 -0.201 0.022
C -0.821 -3.752 0.783 0.023
C -1.109 -2.998 1.912 0.049
C -0.535 -1.728 2.068 -0.014
C -0.211 1.599 0.234 0.046
C -0.730 2.804 0.731 0.031
C -1.487 3.629 -0.084 0.014
C -1.754 3.260 -1.398 0.030
C -1.261 2.066 -1.904 0.016
C -0.491 1.240 -1.099 0.040
H 5.697 0.217 -2.136 0.000
H 5.369 -1.378 -0.276 0.000
H 3.384 -1.209 1.161 0.000
H 2.032 2.169 -1.129 0.001
H 4.031 1.995 -2.545 0.000
H 1.175 -1.563 -0.865 0.002
H 0.251 -3.832 -1.072 0.000
H -1.233 -4.747 0.679 0.000
H -1.739 -3.397 2.697 0.002
H -0.625 -1.217 3.019 0.002
H -0.539 3.086 1.759 0.001
H -1.885 4.555 0.308 0.000
H -2.356 3.904 -2.024 0.001
H -1.467 1.779 -2.926 0.000
H -0.059 0.340 -1.521 0.001
O -3.325 -0.628 2.738 0.154
N -2.788 0.294 3.341 0.008
O -1.903 0.867 2.625 0.031
S -4.011 -2.959 -2.283 0.455
C -3.205 -2.050 -1.309 0.089
N -2.566 -1.359 -0.565 0.216
N -4.374 1.678 0.024 0.096
C -3.507 0.984 0.341 -0.010
```

As for the orbital gap (alpha / beta): 0.28517 / 0.17354 hartree. Its charge is +1. The energy is -3814.2797 hartree. As for the spin multiplicity: 5. The LUMO energy (alpha / beta) is -0.15685 / -0.26743 hartree.

---

No. 2
Molecular formula: C11H13NS
Method: DFT, ωB97M-V/def2-TZVPD

```
26
Properties=species:S:1:pos:R:3:nbo_charge:R:1
C 0.485 -3.659 1.514 -0.209
C -0.606 -3.219 2.169 -0.216
C 0.902 -3.085 0.345 -0.221
C -1.104 -1.930 1.889 -0.322
C 0.270 -1.906 -0.067 0.012
C -0.730 -1.385 0.744 0.143
C 0.953 0.037 -1.072 0.181
C -1.205 2.191 -1.377 -0.335
C 0.974 1.108 0.039 -0.411
C -2.612 2.574 -1.733 -0.681
C 2.040 2.165 -0.262 -0.633
N 0.800 -1.185 -1.106 -0.400
S -0.742 1.759 0.292 0.305
H 0.964 -4.543 1.925 0.214
H -0.735 -3.638 3.196 0.212
H 1.878 -3.274 -0.016 0.219
H -1.757 -1.368 2.472 0.225
H 1.379 0.553 -1.918 0.157
H -0.368 2.728 -1.862 0.177
H 1.192 0.589 1.066 0.251
H -3.192 2.551 -0.815 0.220
H -2.721 3.618 -1.963 0.218
H -3.034 2.083 -2.590 0.231
H 2.693 1.943 -1.045 0.216
H 1.657 3.137 -0.477 0.223
H 2.620 2.153 0.652 0.225
```

As for the orbital gap (alpha / beta): 0.26679 / 0.31414 hartree. The energy is -879.6797 hartree. The LUMO energy (alpha / beta) is -0.00456 / 0.00696 hartree.

---

No. 3
Molecular formula: C15H29BBrN2O6
Method: DFT, ωB97M-V/def2-TZVPD

```
54
Properties=species:S:1:pos:R:3:nbo_charge:R:1
C -1.338 -2.959 0.009 -0.595
C -0.377 -2.095 0.823 -0.397
C -0.727 -0.617 0.720 -0.400
C 0.325 0.290 1.410 0.192
C -0.336 1.624 1.796 -0.181
Br 0.959 2.927 2.507 -0.034
C -1.469 1.477 2.820 -0.425
C -1.087 1.477 4.308 -0.616
O 0.789 -0.349 2.562 -0.747
B 2.242 -0.587 2.473 0.859
O 3.068 0.171 3.526 -0.661
********
Normally this would be difficult and have a risk of failure, but apparently we can just hotswap the whole lot from small magems that fit easily to larger magems(that fit like a large peg in a small hole, which is apparently quite well actually?) without an action, so an order to just remove the things entirely out to be free...Anyway, "aethergems become cheaper" is the most likely scenario in context, given that cheapness is what is happening and a component of the aethergem is becoming cheaper. "aethergems gain incrased capacity" is possible, but unsupported. "aethergems all explode simultaneously and the technology to produce them is permanently lost" is also consistent with "aethergems are affected" asthat would, indeed, be them being affected by the change.
"2.) Cheaper Magegems does indeed increase the capacity of Aethergems." is not vague or conditional. It "does indeed" state that capacity is the specific thing that is happening. Do you admit this much? Do you admit that this is not supported by the statement "aethergems are affected" and that you did, at that time, have nothing else to go on? Do you further admit that you still do not have any reason to believe that we will not be dealing with larger aethergems due to the inclusion of larger magems(A cheaper A is still A-sized regardless of how cheap it is, expense credit doesn't do anything to their size) and thus, with a larger unit, with identical generating power, they will be less effective in the aircraft, which already has problems with size and weight of its magic-generating apparatus and has not demonstrated any issues at all with respect to magic storage, and, indeed, I challenge you to cite a single instance in which increasing the storage of an aethergem would help any single one of our large projects.
Instead of asking numerous vague ambiguous questions, try asking just direct and brief ones:
I want to use cheaper magems(from an expense credit) to increase the storage capacity of our aethergems by implanting, for example, A magems into AA aethergems as the A magems would now be abundant enough to do so.
1: Is this possible as part of the expense credit with no revision or design?
2: Will the resulting higer-storage aethergems still be usable in their former roles without any revisions or designs?
3: Will this result in a worse "power to weight" ratio from the affected aethergems?
Had you asked that then you would actually know(or been politely informed that such information was not appropriate or available to disseminate), but you didn't, so you don't.
You do not know if the high-capacity aethergems would fit in the same slots, but we know that they won't, because we know that larger magems are, in fact, larger, and your plan would involve placing larger magems into existing aethergem designs. Maybe if we had space-warping magic that would not be the case, but we don't. the sum total of this idea is "take out a small component and insert a large one".
You do not know if they will be less efficient at generating power in th e same volume and weight, but we know that they will be, because it is taking the same generator, and hooking it up to a bigger battery. Surprisingly enough, when you add a larger, heavier component without increasing the performance, then your performance becomes worse relative to volume and weight. Again, maybe if we had space magic we could put all we wanted into a small package with no external changes. But we don't, this is a mechanical proposal with a mechanical outcome.